
A 1-post collection

Inserted here: calculated crystals:
'''
VASP calculation (PBE with a Hubbard U) on crystalline Li7Mn2Co3O12 at its relaxed geometry.

a b c (Å): 4.9924 5.0882 8.6632
angles (deg): 72.47 84.71 80.30
Last column: nearest neighbours and their distance in Å.
Atoms (fractional coordinates):
Li 0.2436 0.4191 0.0931  6 O 2.03-2.20
Li 0.7526 0.5896 0.9108  6 O 2.06-2.19
Li 0.2467 0.7498 0.7421  6 O 1.97-2.20
Li 0.2367 0.0765 0.4225  6 O 2.07-2.27
Li 0.7569 0.2452 0.2652  6 O 2.03-2.24
Li 0.7683 0.9089 0.5720  6 O 2.03-2.25
Li 0.0014 0.6548 0.3431  6 O 2.00-2.15
Mn 0.9973 0.0009 0.0014  6 O 1.92-1.96
Mn 0.4986 0.8271 0.1740  6 O 1.87-2.02
Co 0.4938 0.1767 0.8192  6 O 1.90-2.11
Co 0.0018 0.3386 0.6629  6 O 1.91-1.99
Co 0.5023 0.5008 0.4989  6 O 1.94-1.98
O 0.1362 0.0343 0.1934  2 Mn 1.92-1.95, 3 Li 2.03-2.15
O 0.6330 0.1815 0.0383  2 Mn 1.94-2.02, 1 Co 2.09
O 0.1176 0.3534 0.8740  1 Mn 1.96, 2 Co 1.99-2.02, 3 Li 2.06-2.19
O 0.1408 0.6742 0.5481  2 Co 1.91-1.94, 4 Li 1.97-2.12
O 0.6040 0.8567 0.3696  1 Mn 1.87, 1 Co 1.94, 1 Li 2.07
O 0.6406 0.5275 0.6977  3 Co 1.94-2.00, 3 Li 2.09-2.16
O 0.3583 0.8074 0.9684  2 Mn 1.94-2.01, 1 Li 2.09, 1 Co 2.11
O 0.8811 0.9841 0.7967  1 Mn 1.95, 2 Co 1.98-2.04, 2 Li 2.10-2.13
O 0.3686 0.1507 0.6251  3 Co 1.90-1.98, 1 Li 2.09
O 0.3962 0.4817 0.2928  1 Mn 1.88, 1 Co 1.94, 3 Li 2.03-2.08
O 0.8594 0.6611 0.1168  2 Mn 1.92-1.94, 3 Li 2.06-2.13
O 0.8641 0.2995 0.4738  2 Co 1.91-1.95, 4 Li 2.02-2.09

## Properties
Space-group type = No. 1
Energy above the most stable polymorph in this dataset = 8 meV/atom
Crystal system = triclinic

~~~~~

No. 1
# PaSn2Pd

A relaxed structure of PaSn2Pd (PBE-GGA, the Alexandria database).

Structure (extended XYZ):
```
4
Lattice="-0.6389 -0.6281 3.1741 1.6930 -2.8220 -0.2177 6.7425 3.8811 2.1253" Properties=species:S:1:pos:R:3 pbc="T T T"
Sn 4.8130 2.7704 1.5171
Sn 1.9296 1.1107 0.6082
Pa 0.5270 -1.7251 1.4782
Pd 3.8983 0.2154 2.5409
```

Calculated values
* total magnetization: 0.151 μB/f.u.
* space-group type: P4/mmm (123)
* ρ: 10.88 g/cm³

***

No. 2
# Pa2SnPd6

A relaxed structure of Pa2SnPd6 (PBE-GGA, the Alexandria database).

Structure (extended XYZ):
```
9
Lattice="-3.9315 -2.2328 -4.2180 -3.0800 -2.4107 4.1470 -4.2609 2.8983 2.4374" Properties=species:S:1:pos:R:3 pbc="T T T"
Pd -3.9417 -1.4216 -1.6918
Pd -5.4028 -2.5644 0.2722
Pd -5.8696 0.8191 2.0942
Pd -5.3101 -1.6962 2.9043
Pd -5.9623 -0.0491 -0.5378
Pd -7.3307 -0.3237 4.0583
Pa -3.2746 -0.3079 1.3056
Pa -7.9978 -1.4374 1.0608
Sn 0.0000 0.0000 0.0000
```

Calculated values
* total magnetization: 0.000 μB/f.u.
* space-group type: P-3m1 (164)
* ρ: 11.63 g/cm³

***

No. 3
# Pa2Sn2Pd5

A relaxed structure of Pa2Sn2Pd5 (PBE-GGA, the Alexandria database).

Structure (extended XYZ):
```
18
Lattice="7.0990 0.0000 0.0000 0.0000 7.1440 0.0000 -3.5495 -3.5720 7.5052" Properties=species:S:1:pos:R:3 pbc="T T T"
Pd -1.3011 -1.2019 3.7526
Pd 4.9016 5.5307 0.1178
Pd 1.3063 -0.9519 5.1020
Pd 1.3063 -0.9519 2.4032
Pd 2.2432 2.6201 2.4032
Pd -2.1974 -1.6133 7.3874
Pd 4.8506 2.3701 3.7526
'''

Improve Your Security: Port Scan Yourself

Ransomware crews are no longer satisfied shutting down hospitals and are now also going after hip tech startups. Last week, a professional crew got involved in ransoming MongoDB instances, and some 28,000 servers were compromised and held for Bitcoin.

**Here the text breaks off for calculated crystals:**
____________
This record from Alexandria describes a geometry-optimized Zn2CdAu structure. The functional is PBE.

a b c (Å): 4.395 4.395 5.276
angles (deg): 65.38 65.38 60.00
Fractional coordinates of all 4 atoms:
Zn1 0.062 0.062 0.815
Zn2 0.270 0.270 0.191
Cd1 0.484 0.484 0.547
Au1 0.684 0.684 0.947

## Properties
Space-group type: R3m (160)
E_tot in eV per atom: -1.761
Relative energy among the computed polymorphs in meV/atom: 19.2
Spin magnetization in μB per formula unit: 0.000
ΔE_f in eV/atom: -0.08

---

This record from Alexandria describes a geometry-optimized SbTe3 structure. The functional is PBE.

a b c (Å): 5.401 5.401 3.859
angles (deg): 90.00 90.00 90.02
Fractional coordinates of all 4 atoms:
Sb1 0.000 0.000 0.000
Te1 0.000 0.500 0.500
Te2 0.500 0.000 0.500
Te3 0.500 0.500 0.000

## Properties
Space-group type: P4/mmm (123)
E_tot in eV per atom: -3.117
Relative energy among the computed polymorphs in meV/atom: 261.0
Spin magnetization in μB per formula unit: 0.000

---

This record from Alexandria describes a geometry-optimized DyHoMgPa structure. The functional is PBE.

a b c (Å): 5.396 5.396 5.396
angles (deg): 60.00 60.00 60.00
Last column: magnetic moment on the atom in μB.
Fractional coordinates of all 4 atoms:
Mg1 0.750 0.750 0.750  0.00
Pa1 0.250 0.250 0.250  1.08
Ho1 0.000 0.000 0.000  0.27
Dy1 0.500 0.500 0.500  0.27

## Properties
Space-group type: F-43m (216)
E_tot in eV per atom: -4.723
Spin magnetization in μB per formula unit: 2.025
ΔE_f in eV/atom: 0.34

---

This record from Alexandria describes a geometry-optimized SrCuTeAs2 structure. The functional is PBE.

a b c (Å): 5.554 4.739 5.554
angles (deg): 90.00 90.00 90.00
Fractional coordinates of all 5 atoms:
Sr1 0.500 0.500 0.500
As1 0.000 0.000 0.500
As2 0.500 0.000 0.000
Te1 0.000 0.000 0.000
Cu1 0.000 0.500 0.000

## Properties
Space-group type: P4/mmm (123)
E_tot in eV per atom: -3.516
Spin magnetization in μB per formula unit: 0.000

---

This record from Alexandria describes a geometry-optimized LaRu2Au structure. The functional is PBE.

a b c (Å): 4.789 4.789 4.789
angles (deg): 60.00 60.00 60.00
Last column: magnetic moment on the atom in μB.
Fractional coordinates of all 4 atoms:
Au1 0.500 0.500 0.500  -0.01
La1 0.750 0.750 0.750  -0.04
Ru1 0.000 0.000 0.000  0.98
Ru2 0.250 0.250 0.250  0.91

## Properties
Space-group type: F-43m (216)
E_tot in eV per atom: -6.439
Relative energy among the computed polymorphs in meV/atom: 165.8
Spin magnetization in μB per formula unit: 1.828
ΔE_f in eV/atom: 0.25

----------

[1]
Computed, not measured: K3Li after structural relaxation at the GGA-PBE level of DFT.

a b c (Å): 9.8089 9.8089 4.8946
angles (deg): 90.00 90.00 91.71
Fractional positions:
K (0.1462, 0.8538, 0.7500)
K (0.1642, 0.4112, 0.7500)
K (0.4112, 0.1642, 0.2500)
K (0.5888, 0.8358, 0.7500)
K (0.8358, 0.5888, 0.2500)
K (0.8538, 0.1462, 0.2500)
Li (0.4268, 0.5732, 0.2500)
Li (0.5732, 0.4268, 0.7500)
____________

The “attack” is so simple it barely deserves the name. The crew scans the internet looking for open and unsecured instances of MongoDB. When they find one, they log in and steal the data. The victims must pay Bitcoin to get their data back. To save on storage costs, sometimes the crew just deletes the data without bothering to save it — and the mark ends up paying for nothing. Even honor among thieves can’t survive the harsh realities of 21st century globalized late cyber-capitalism.

When reading about these attacks, there is a strong temptation blame the victim. Hospitals were at fault because of their antiquated IT departments: huge, sclerotic fiefdoms incapable of moving past Windows 98. We all know that MongoDB sucks, and that Real Programmers would never be caught dead using it. Why, they probably deserved to get hacked!

Don’t do it. As I’ve said before, victim-blaming in security is a trap that must be avoided. Attacks are varied and always changing; best practices can be indistinguishable from cargo cults, and default configurations seem almost designed to foil you.

In this case, MongoDB apparently ships without any authentication, listening to the whole wide world. No wonder so many instances got hacked!

HOWTO not get hacked

Basically, you should have as little as possible accessible to the outside world. Set up a firewall. This tweet sums up the idea best:

If you’re anything like me, the first thought when confronted with that tweet is: “is my firewall actually working right?” Would you bet money that you know what ports are open on a given server in your fleet?

Enter Nmap

trinity using Nmap Nmap as used in The Matrix

Here the page breaks off for materials data =
┌──
No. 1
Entry from the Alexandria database: a relaxed Pm3BiTe2 crystal (PBE-GGA).

The structure in POSCAR format:
```
Pm3BiTe2
1.0
6.368 0.000 0.000
0.000 6.031 -2.043
0.000 0.053 10.077
Pm Bi Te
6 2 4
Direct
0.500 0.333 0.666 Pm
0.000 0.834 0.667 Pm
0.500 0.667 0.334 Pm
0.000 0.166 0.333 Pm
0.000 0.500 0.000 Pm
0.500 0.000 0.000 Pm
0.000 0.333 0.667 Bi
0.000 0.667 0.333 Bi
0.500 0.834 0.667 Te
0.500 0.166 0.333 Te
0.000 0.000 0.000 Te
0.500 0.500 0.000 Te
```

Calculated values
Its space group is No. 65. For the total magnetization, the calculation gives 0.0 μB per formula unit. The energy above the most stable polymorph in this dataset comes out at 0 meV per atom. The energy comes out at -64.112 eV for the cell shown. Its density of states at the Fermi level is 2.54 states/eV/f.u. The calculation puts the energy relative to the elements, uncorrected at -1273 meV per atom.


No. 2
Entry from the Alexandria database: a relaxed Pm6Bi5Te crystal (PBE-GGA).

The structure in POSCAR format:
```
Pm6Bi5Te
1.0
-7.394 -0.941 -2.620
6.083 -2.498 -4.378
0.103 -5.504 5.660
└──

Nmap is an incredibly powerful tool that’s synonymous with port scanning. A port scanner is a program that checks to see what network ports are open on a computer.

Here’s what scanning with default settings from my work computer looks like:

$ nmap

Starting Nmap 7.12 ( ) at 2017-01-16 12:57 EST
Nmap scan report for (
Host is up (0.030s latency).
Not shown: 993 closed ports
22/tcp  open     ssh
25/tcp  filtered smtp
80/tcp  open     http
135/tcp filtered msrpc
139/tcp filtered netbios-ssn
443/tcp open     https
445/tcp filtered microsoft-ds

You’ll see that 22, 80, and 443 are open. This is because we listen on SSH, HTTP and HTTPS. There are also a bunch of filtered ports. This is because some router or firewall between me and appcanary is blocking that port so it’s not clear whether it’s open or closed.

Running the same scan from a random1 Digital Ocean box gives me the true result without the intermediate network filtering.

Starting Nmap 5.21 ( ) at 2017-01-16 13:04 EST
Nmap scan report for (
Host is up (0.0012s latency).
Not shown: 997 closed ports
22/tcp  open  ssh
80/tcp  open  http
443/tcp open  https

Nmap has a variety of scanning options, but the most important thing to understand for TCP scans is the difference between SYN scanning and connect scanning.

If you’ve ever tried to write a port scanner (which is a great exercise in network programming and concurrency), you’ve probably tried to write a connect scanner. A connect scanner tries to connect to a port, and closes the connection after success. Nmap’s most popular mode is SYN scanning. In SYN scanning, you send a SYN packet initiating the TCP handshake. If you get an SYN-ACK back, the port is open, and you send a RST instead of an ACK as you would if you were actually connecting. This is “stealthier”, which doesn’t matter as much for our purposes, and is more efficient. Unfortunately it requires nmap to be run as root because it needs raw access to the network interface.

You can specify a SYN scan with nmap -sS, and a connect scan with nmap -sT. By default nmap will prefer to do a SYN scan if it is able to.

By default, nmap will scan the top 1000 most common ports. You can specify a specific ports or a range with -p, i.e. nmap -p22 will scan only port 22, and nmap -p400-500 will scan ports 400 through 500. nmap -p- will scan the complete port range (1-65535).

Developer, port scan thyself

Regularly port scan yourself; it’s the only way to be certain that your databases aren’t listening to the outside world. Run Nmap against your servers, and make sure that only the ports you expect are open.

To make it easier, here’s a script to do it for you. This will run Nmap, compare the output with predefined ports, and ping you on Slack if there’s a mismatch. Run it on a cron job, so you can check on the regular.

How does Appcanary fit in?

Our mission is to help you do security basics right, so you can be free to worry about the hard stuff. We’re building the world’s best patch management product because we had a deep need for one ourselves, and it automated such a vital part of a security team’s job.

When I started writing this article, I didn’t realize how well it fit into what we’re doing with patch management. To do security right, you need to implement systems and continuously verify they are working correctly. Appcanary helps you verify your patch management program, the script above helps you verify your firewall. Both without any bullshit.

We want to hear from you

Did I convince you to port scan your systems after reading the article? Are you using the script above? Something else? Let me know:

  1. If you’re observant, you may have noticed that this version of nmap is much older than the one on my work computer. If you’re really observant, you may have noticed that it has a vulnerability